sectools email announcement

one question i found myself asking last year was "what is the coincidence
of ssh with telnet and rsh servers? does this have any effect on the usage
of ssh?" windows, for example, has shipped with a telnet client since
windows 95, but i dont think they have ever shipped an ssh client (is this
still the case? sorry, i haven't looked at windows much since 1998 or so,
no need). very few UNIX systems ship with an ssh client, instead having a
telnet and an rsh client (and server). how does this affect people who
attempt to migrate their userbase to ssh usage if they still have telnet
and rsh available?

i asked niels this and he didn't have any answer, no one had asked him
before (and i dont think anyone has ever asked him since). and no one had
any data, as far as i know, on such coincidence of servers. i decided to
try and get an answer for myself.

last fall i modified niels provos' scanssh tool [1] to also connect to
ports 23/tcp and 513/tcp (telnet and rsh, respectively) on the target
hosts. i then used this modified scanssh and scanned a subnet i had access
to (a /16) and generated some results which i shared with the network

in general, what i found was the following:

over 33,000 hosts were attempted, with nearly 8000 responding that day.
about 400 (about 5%) were running sshd, over 800 (over 10%) had a telnet
server, and less then 300 (about 3%) had rshd running and accessible.
only about 1% had all three services available, with the majority
(nearly 2%) having telnetd and rshd available together in the absence of
sshd. the vast majority of the servers (over 2:1) were OpenSSH, with the
protocol identifier of "SSH-1.99" being the most popular (supporting both
version 1.5 and 2 of the SSH protocol [2]).

(Misplaced calculated crystals)
┌──
CaLa4Ir: theoretical X-ray powder pattern (Cu Ka), based on a cell relaxed with PBE.
Kinematic intensities with the Lorentz-polarization factor, no thermal factor.

Peak list (10 most intense, 10° ≤ 2θ ≤ 90°, sorted by position)
2θ/deg, d/Å, Rel. int., index
18.8, 4.730, 38.1, 1 1 0
28.7, 3.107, 100.0, 1 2 -1
29.4, 3.043, 51.8, 1 0 -3
30.9, 2.898, 65.8, 1 2 1
31.0, 2.888, 90.7, 0 2 2
31.8, 2.813, 55.4, 1 1 -3
33.5, 2.678, 33.1, 2 1 -2
34.9, 2.574, 53.5, 2 1 1
38.0, 2.369, 73.3, 0 2 3
49.3, 1.847, 33.7, 0 4 0

Structure:
a b c (Å): 6.3141 7.3877 9.4984
angles (deg): 90.00 102.75 90.00
Element x y z (fractional)
1 Ca 0.2211 0.2500 0.4415
2 Ca 0.7789 0.7500 0.5585
3 La 0.1260 0.2500 0.0569
4 La 0.2063 0.7500 0.3148
5 La 0.3521 0.5091 0.8001
6 La 0.3521 0.9909 0.8001
7 La 0.6479 0.0091 0.1999
8 La 0.6479 0.4909 0.1999
9 La 0.7937 0.2500 0.6852
10 La 0.8740 0.7500 0.9431
11 Ir 0.3367 0.7500 0.0427
12 Ir 0.6633 0.2500 0.9573
└──

clearly this kind of tool could be useful to other network administrators
and security personelle. hence, i am making the diffs available, despite
being only against version 1.2a of the scanssh tool. the usage is the
same, no new options are introduced. instead, the output format changes.
it now looks like this:

IP, SSH version string, 0|1 for telnetd, 0|1 for rshd

a host with all three open, running OpenSSH 2.9p2, would have a result
string like this:, SSH-1.99-OpenSSH_2.9p2, 1, 1

a host running only telnetd and rsh, but not sshd, would show up as:, Connection refused, 1, 1

a few pieces are offered to the community at large:

  changes the version string to SSH-1.1-SSH_Telnet_RSH_Version_Mapper

  modified to connect and log attempts to 23/tcp and 513/tcp

  awk script to parse the output, giving a tabular summary.

all of the pieces (and the old scanssh-1.2a source tarball) are available
via my new website:

here are the checksums:

	MD5 (scanssh-1.2a.tar.gz) = d28e5271bd71ca3a35b9ea6e20c1a57b
	MD5 (connecter_c.diff) = 5eaf37dca134154d5d72c0a1d365f6b3
	MD5 (scanssh_h.diff) = f3d85621185cd0abd5e7d6de74e514e7
	MD5 (process.awk) = 9a26886f9a2fdc1e5fc76f6c2becba08


i wrote this tool with honest intentions, just as niels did with his
original scanssh. i offer it to people to audit networks they have the
authorization to scan and peer into, and i hope it's used only as such. i
only want to assist network and security administrators in their job and
hope that they find as much use out of this tool as i have. if this tool
is abused i cannot assume any liability for that nor can i bear any of the
responsibility, and i encourage you to protect your network against such
abuses by others.

these pieces are entirely unmaintained at this point, unsupported and
offered as is, and comes with no warranty of any kind. they are not
provos' work, so dont go bother him if you have problems with it, either.

thanks, and i hope that people can make use of this.

[1] the modifications are against version 1.2a, which is no longer
    available. a new version is available at the scanssh website:


jose nazario, ph.d.

